product management

On asking the right questions

Instead of asking photographers what they might like, Fuji was said to have made up sets of comparison prints and slides: One set showed color as accurate as Fuji could make, the other sets had varying degrees of enhanced saturation—richer, warmer, deeper colors; healthier skin tones; bluer skies, greener grass, redder barns. Photographers, it seemed, consistently preferred the saturated versions. » about 400 words

Explore for inspiration, then test and focus

Cultivate exploration:

As a leader, you want to encourage people to entertain “unreasonable ideas” and give them time to formulate their hypotheses. Demanding data to confirm or kill a hypothesis too quickly can squash the intellectual play that is necessary for creativity.

Then ruthlessly prioritize for focus:

[Force] teams to focus narrowly on the most critical technical uncertainties and [rapidly experiment for] faster feedback. The philosophy is to learn what you have gotten wrong early and then move quickly in more-promising directions.

From Gary P. Pisano writing on organizational culture for HBR. Concurrence from Paul E. McKenney, who emphasizes:

[S]tress-testing ideas early on avoids over-investing in the inevitable blind alleys.

But what kind of tests does Pisano suggest?

[do] not run experiments to validate initial ideas. Instead, […] design “killer experiments” that maximize the probability of exposing an idea’s flaws.

Who controls the menu?

When people are given a menu of choices, they rarely ask:

  • “what’s not on the menu?”
  • “why am I being given these options and not others?”
  • “do I know the menu provider’s goals?”
  • “is this menu empowering for my original need, or are the choices actually a distraction?” (e.g. an overwhelmingly array of toothpastes)

From Tristan Harris, co-founder of the Center for Humane Technology. It’s the first of ten magic tricks he pointed to that technology companies use to hijack users’ minds and emotions.

-- begin --
EuOF: simulated powder XRD pattern (Cu Kα (weighted mean of Kα1 and Kα2)), based on a GGA-PBE-relaxed structure.
Kinematic intensities with the Lorentz-polarization factor, no thermal factor.

Crystal structure
```
EuOF
1.0
1.976 1.141 6.502
-1.976 1.141 6.502
0.000 -2.282 6.502
Eu O F
2 2 2
direct
0.243 0.243 0.243
0.757 0.757 0.757
0.124 0.124 0.124
0.876 0.876 0.876
0.372 0.372 0.372
0.628 0.628 0.628
```

Main lines, by angle (10° ≤ 2θ ≤ 80°):
3.251 Å, 2θ 27.44, intensity 31; 3.230 Å, 2θ 27.62, intensity 100; 2.802 Å, 2θ 31.94, intensity 38; 1.986 Å, 2θ 45.68, intensity 34; 1.976 Å, 2θ 45.92, intensity 37; 1.695 Å, 2θ 54.12, intensity 13; 1.689 Å, 2θ 54.32, intensity 28; 1.686 Å, 2θ 54.43, intensity 15; 1.401 Å, 2θ 66.78, intensity 10; 1.283 Å, 2θ 73.90, intensity 12
-- stop --

Maintenance and renewal

Abby Sewell, with photographs by Jeff Heimsath, in The National Geographic:

Every spring, communities gather to take part in a ceremony of renewal. Working together from each side of the river, the villagers run a massive cord of rope, more than a hundred feet long and thick as a person’s thigh, across the old bridge. Soon, the worn structure will be cut loose and tumble into the gorge below. Over three days of work, prayer, and celebration, a new bridge will be woven in its place.

The Q’eswachaka bridge has been built and rebuilt continuously for five centuries.

(These data records were left in the article by mistake)
____________
[1]
This entry pairs a crystal structure of U3Co2Si7 with its simulated powder diffraction line list. Radiation: copper Kα. Structure: a PBE-relaxed structure.

Structure:
a = 12.3518 Å, b = 12.3518 Å, c = 4.0267 Å
α = 90.00°, β = 90.00°, γ = 161.48°
Positions (direct):
1 U 0.0000 0.0000 0.0000
2 U 0.3141 0.6859 0.5000
3 U 0.6859 0.3141 0.5000
4 Co 0.1287 0.8713 0.0000
5 Co 0.8713 0.1287 0.0000
6 Si 0.0875 0.9125 0.5000
7 Si 0.2222 0.7778 0.0000
8 Si 0.4131 0.5869 0.0000
9 Si 0.5000 0.5000 0.5000
10 Si 0.5869 0.4131 0.0000
11 Si 0.7778 0.2222 0.0000
12 Si 0.9125 0.0875 0.5000

Main lines, sorted by position (2θ from 10° to 90°):
2θ = 21.87°, I = 357
2θ = 23.26°, I = 579
2θ = 24.94°, I = 597
2θ = 31.85°, I = 498
2θ = 36.73°, I = 1000
2θ = 36.99°, I = 551
2θ = 40.29°, I = 206
2θ = 45.03°, I = 261
2θ = 45.65°, I = 253
2θ = 60.13°, I = 357



[2]
This entry pairs a crystal structure of MgSi2 with its simulated powder diffraction line list. Radiation: copper Kα. Structure: a PBE-relaxed structure.

Structure:
a = 5.1649 Å, b = 5.6653 Å, c = 7.6888 Å
α = 84.14°, β = 85.36°, γ = 64.82°
Positions (direct):
1 Mg 0.0000 0.0000 0.0000
2 Mg 0.0714 0.4616 0.8508
3 Mg 0.2462 0.2542 0.5052
4 Mg 0.9030 0.5614 0.2166
5 Si 0.2307 0.7692 0.6162
6 Si 0.3222 0.7454 0.2975
7 Si 0.4428 0.1217 0.1588
8 Si 0.5133 0.5179 0.0016
9 Si 0.5451 0.9373 0.8494
10 Si 0.6640 0.3068 0.7022
11 Si 0.7340 0.7222 0.5609
12 Si 0.8175 0.0874 0.3990

Main lines, sorted by position (2θ from 10° to 90°):
2θ = 35.40°, I = 103
2θ = 37.94°, I = 428
2θ = 38.69°, I = 1000
2θ = 39.88°, I = 972
2θ = 40.74°, I = 83
2θ = 42.55°, I = 206
2θ = 44.06°, I = 111
2θ = 52.16°, I = 166
2θ = 68.89°, I = 81
2θ = 71.64°, I = 140



[3]
This entry pairs a crystal structure of ErTiFe11 with its simulated powder diffraction line list. Radiation: copper Kα. Structure: a PBE-relaxed structure.

Structure:
a = 6.4416 Å, b = 6.4416 Å, c = 6.4416 Å
α = 137.18°, β = 97.55°, γ = 97.77°
Positions (direct):
1 Er 0.0000 0.0000 0.0000
2 Ti 0.3735 0.3735 0.0000
3 Fe 0.0034 0.0038 0.4981
4 Fe 0.0034 0.5053 0.9996
5 Fe 0.2280 0.5065 0.7216
6 Fe 0.2282 0.7282 0.5000
7 Fe 0.3608 0.0047 0.3561
8 Fe 0.5057 0.0038 0.0004
9 Fe 0.5057 0.5053 0.5019
10 Fe 0.6486 0.0047 0.6439
11 Fe 0.6527 0.6527 0.0000
12 Fe 0.7775 0.2775 0.5000
13 Fe 0.7849 0.5065 0.2784

Main lines, sorted by position (2θ from 10° to 90°):
2θ = 30.27°, I = 418
2θ = 33.41°, I = 152
2θ = 37.10°, I = 457
2θ = 38.28°, I = 159
2θ = 42.64°, I = 594
2θ = 42.99°, I = 1000
2θ = 44.04°, I = 683
2θ = 49.25°, I = 219
2θ = 62.97°, I = 127
2θ = 72.45°, I = 196



[4]
This entry pairs a crystal structure of Ti3In3Rh2 with its simulated powder diffraction line list. Radiation: copper Kα. Structure: a PBE-relaxed structure.

Structure:
a = 7.3485 Å, b = 7.3485 Å, c = 3.0826 Å
α = 90.00°, β = 90.00°, γ = 120.00°
Positions (direct):
1 Ti 0.0000 0.4174 0.0000
2 Ti 0.4174 0.0000 0.0000
3 Ti 0.5826 0.5826 0.0000
4 In 0.0000 0.7628 0.5000
5 In 0.2372 0.2372 0.5000
____________
(Back to the article)

The bridge is 120 feet long, over a gorge of considerable, but unstated, depth.

It’s said to be at -14.3811214,-71.484012.

Continuous disruption

Trains were once seen as icons of freedom. They freed riders from the dust and bumps of horse or stagecoach travel, and dramatically shortened travel times. But that view of trains as agents of freedom changed with the development of the automobile—and the way it shifted control of routes and schedules from the railroad to the driver.

This isn’t about transportation policy1, it’s about how previously novel solutions become subject to disruption once they become the baseline against which alternatives are compared. Railroads didn’t realize they were competing against automobiles until it was too late.

Who are you competing against?

This is a revision of something I originally posted ten years ago.

Photo CC NC-ND by Schnitzel_bank.

  1. If you do want to explore the policy side of this, consider this comparison of transit volume, part of the broader question of whether cars take up too much space, and this inquiry into why public transport works better outside the US↩︎

User stories are documentation

While writing up the draft docs for Joyent’s Container Name Service I leaned heavily on the user stories and use-cases for the feature. It has me realizing that we should consider user stories to be the first draft of the user documentation.

Indeed, consider that well-written docs and user stories have similar qualities: a user, goal, and benefit, in clear language that’s accessible in small, focused chunks.

The CNS docs are now in our core documentation library, and I’m happy that we’ve updated the content management system to support deep linking to individual headings, like this one about adding CNS service tags when creating an instance with the triton CLI.

I’m thinking about this and writing now because Alexandra has joined the team and is adding short screencasts that do more to “show, don’t tell” how to use the features while providing additional context. See this screencast explaining usage with docker, assigning vanity names, and her overview of CNS’ function and purpose. She’s been digging in to the existing documentation, asking questions, and driving a lot of improvements. All that had me considering the source material and the relationship to user stories.

Echoes of product management advice in declarative vs. imperative programming

The following line in a post about the difference between declarative vs. imperative programming caught my attention for the way it echoes product management best practices:

[I]t’s often good not to think of how you want to accomplish a result, but instead what the component should look like in it’s new state.

Of course it does matter how you get to where you’re going, but it’s a whole lot easier if you first focus on aligning everybody on goals and where you’re going.